Job.
Your job: copy every line below that contains the word "SiH2".

Listing.
- - -
A molecular structure, C27H42Cl3MgN4O3Si at a distorted geometry, computed with ωB97M-V/def2-TZVPD.

## Properties
- Kohn-Sham gap (eV) = 7.048
- total charge = -1
- energy (Ha) = -3369.284326
- energy above the lowest of the compared OMol25 structures with the same formula, charge and spin (eV) = 0.000
- LUMO level (eV) = 2.3
- HOMO (eV) = -4.767

```
81
C27H42Cl3MgN4O3Si, DFT ωB97M-V/def2-TZVPD
C -1.89 0.12 -3.55
C -2.26 1.24 -2.63
H -2.70 -0.14 -4.23
H -1.58 -0.77 -2.98
H -1.01 0.42 -4.14
C -3.44 1.88 -2.61
C -4.59 1.60 -3.51
H -3.63 2.67 -1.88
H -4.45 0.71 -4.13
H -4.78 2.45 -4.18
H -5.50 1.46 -2.91
Mg 0.30 -0.43 0.24
Cl 1.95 0.40 -1.44
Cl 0.09 -2.74 -0.31
H 4.66 -1.64 3.69
H 5.96 -2.11 1.58
C 3.77 -2.09 3.22
C 5.04 -2.53 1.14
N 3.87 -1.95 1.77
H 2.87 -1.59 3.56
C 2.87 -1.42 1.06
O 1.82 -0.94 1.55
H 5.02 -2.29 0.08
H 3.02 -1.40 -0.03
H 3.74 -3.16 3.50
H 5.07 -3.62 1.27
H -3.26 -1.09 -0.89
H -4.46 1.00 0.60
C -3.37 -1.64 0.06
C -4.51 0.15 1.32
N -3.35 -0.71 1.17
H -2.55 -2.36 0.15
C -2.26 -0.48 1.94
O -1.12 -0.92 1.72
H -4.53 0.56 2.34
H -2.49 0.15 2.83
H -4.35 -2.15 0.05
H -5.42 -0.42 1.12
O -1.24 0.48 -0.68
C -1.21 1.50 -1.54
C -2.29 3.05 0.16
C -1.36 2.88 -0.86
H -2.83 2.17 0.52
C -2.52 4.33 0.68
H -0.23 1.51 -2.07
C -0.60 3.95 -1.32
H -3.24 4.46 1.49
C -1.81 5.41 0.17
C -0.85 5.23 -0.84
H 0.17 3.74 -2.07
H -2.01 6.42 0.53
H -0.28 6.08 -1.22
Si 0.90 -4.55 -2.21
Cl -0.35 -3.28 -3.34
C 0.31 -5.54 -0.69
C 2.65 -3.82 -2.09
C 1.01 -6.02 -3.49
H -0.10 -4.92 0.12
H 1.17 -6.08 -0.26
H -0.46 -6.27 -0.95
H 0.07 -6.60 -3.51
H 1.82 -6.70 -3.23
H 1.18 -5.66 -4.52
H 2.61 -2.87 -1.54
H 3.06 -3.60 -3.09
H 3.33 -4.50 -1.58
N 0.13 3.07 3.28
C -0.36 2.15 2.41
N 0.60 1.65 1.65
C 1.77 2.26 2.03
C 3.08 2.12 1.58
C 4.11 2.78 2.28
C 3.82 3.64 3.35
C 2.49 3.85 3.75
C 1.50 3.16 3.08
H -0.41 3.59 3.96
H -1.41 1.89 2.40
H 3.24 1.51 0.69
H 5.15 2.64 1.97
H 4.65 4.12 3.87
H 2.21 4.51 4.57
```

=====

9 unconnected molecules or ions with the total composition C27H42NO25PSSi at a distorted geometry, computed with ωB97M-V/def2-TZVPD.

## Properties
- Kohn-Sham gap (eV) = 7.804
- energy (Ha) = -4018.904459
- LUMO level (eV) = 0.0
- SMILES = CC(=O)N(C)[SiH2][PH2]=S.O=C1OCCO1.O=C1OCCO1.O=C1OCCO1.O=C1OCCO1.O=C1OCCO1.O=C1OCCO1.O=C1OCCO1.O=C1OCCO1
- HOMO (eV) = -7.754

```
98
C27H42NO25PSSi, DFT ωB97M-V/def2-TZVPD
C -2.92 -2.67 -5.43
C -3.93 -1.60 -5.06
O -3.77 -0.51 -5.48
N -5.07 -1.84 -4.21
C -5.80 -3.08 -4.57
Si -4.73 -1.70 -2.49
P -4.06 -3.60 -1.48
S -3.00 -4.78 -2.63
H -2.28 -2.96 -4.60
H -3.39 -3.54 -5.89
H -2.27 -2.25 -6.19
H -5.45 -3.98 -4.07
H -6.84 -2.92 -4.27
H -5.81 -3.20 -5.66
H -3.80 -0.57 -2.28
H -6.00 -1.31 -1.86
H -3.24 -3.19 -0.40
H -5.18 -4.24 -0.91
C 0.94 -1.05 -4.66
C 1.67 -0.51 -3.46
O 0.71 -0.73 -2.40
C -0.11 -1.73 -2.79
O -0.89 -2.25 -2.05
O 0.08 -2.05 -4.08
H 1.60 -1.49 -5.40
H 0.33 -0.30 -5.15
H 2.56 -1.07 -3.23
H 1.92 0.54 -3.55
C 1.45 3.34 -5.71
C 2.02 3.58 -7.09
O 2.46 2.27 -7.47
C 1.75 1.37 -6.76
O 1.76 0.19 -6.95
O 1.02 1.97 -5.79
H 0.61 4.00 -5.49
H 2.19 3.43 -4.93
H 1.27 3.92 -7.80
H 2.85 4.28 -7.08
C -7.15 -0.95 3.02
C -7.13 0.14 1.97
O -6.43 -0.49 0.89
C -6.57 -1.83 1.03
O -6.25 -2.63 0.20
O -7.12 -2.14 2.23
H -8.04 -0.92 3.64
H -6.26 -0.94 3.66
H -8.13 0.41 1.63
H -6.60 1.03 2.30
C -0.36 -3.62 0.93
C 0.89 -2.81 0.69
O 1.45 -2.70 2.00
C 0.99 -3.73 2.74
O 1.40 -4.02 3.82
O 0.01 -4.40 2.08
H -0.61 -4.26 0.09
H -1.22 -3.00 1.18
H 1.60 -3.32 0.04
H 0.67 -1.83 0.27
C 4.52 -0.98 0.54
C 4.52 0.53 0.49
O 4.79 0.80 -0.89
C 4.40 -0.29 -1.60
O 4.32 -0.33 -2.79
O 4.10 -1.32 -0.79
H 3.84 -1.38 1.28
H 5.52 -1.39 0.71
H 3.55 0.95 0.76
H 5.29 0.97 1.13
C 2.98 5.17 -1.73
C 3.00 6.67 -1.87
O 3.18 6.85 -3.28
C 2.73 5.73 -3.90
O 2.59 5.63 -5.08
O 2.47 4.75 -3.00
H 2.34 4.83 -0.93
H 3.98 4.74 -1.60
H 2.06 7.13 -1.58
H 3.82 7.13 -1.32
C 1.64 -2.17 7.93
C 2.41 -2.54 6.69
O 3.15 -1.35 6.41
C 3.28 -0.66 7.57
O 3.98 0.29 7.71
O 2.50 -1.20 8.54
H 1.48 -3.01 8.60
H 0.68 -1.70 7.71
H 3.11 -3.36 6.86
H 1.76 -2.80 5.86
C 2.10 2.68 9.18
C 2.65 3.98 8.67
- - -

Here it is.
- SMILES = CC(=O)N(C)[SiH2][PH2]=S.O=C1OCCO1.O=C1OCCO1.O=C1OCCO1.O=C1OCCO1.O=C1OCCO1.O=C1OCCO1.O=C1OCCO1.O=C1OCCO1